Please type out the part of the block underneath that starts with the line with "Principal peaks" and stops after the one with "2.584 Å,".

- - -
Theoretical powder XRD pattern
Compound: NdGa7Cu5
Radiation: Cu Kα
Structure: a DFT-relaxed cell (GGA-PBE, Alexandria)
Peak positions follow from Bragg's law for the DFT cell and can differ from measured ones.

Principal peaks in the range 5° ≤ 2θ ≤ 70°, by angle:
2.620 Å, 34.22°, rel. 34, hkl 2 0 0
2.584 Å, 34.71°, rel. 52, hkl 1 3 0
2.534 Å, 35.43°, rel. 36, hkl 1 0 3
2.259 Å, 39.92°, rel. 63, hkl 2 2 0
2.243 Å, 40.20°, rel. 60, hkl 2 0 2
2.228 Å, 40.49°, rel. 44, hkl 0 4 0
2.221 Å, 40.63°, rel. 100, hkl 1 3 2
2.203 Å, 40.98°, rel. 67, hkl 1 2 3
2.171 Å, 41.60°, rel. 49, hkl 0 0 4
2.004 Å, 45.26°, rel. 71, hkl 2 2 2

Crystal structure
Unit cell a=5.240 b=8.911 c=8.684 alpha=90.00 beta=90.00 gamma=90.00
Space group Imm2 (No. 44)
Asymmetric unit:
Nd1 0.000 0.000 0.000
Ga1 0.000 0.000 0.352
Ga2 0.000 0.000 0.652
Ga3 0.000 0.297 0.491
- - -

Principal peaks in the range 5° ≤ 2θ ≤ 70°, by angle:
2.620 Å, 34.22°, rel. 34, hkl 2 0 0
2.584 Å, 34.71°, rel. 52, hkl 1 3 0